Are you a Leader?

Many argue that being a good leader is a skill that people are born with and not taught; other say that experience is the drive for good leadership, but what about desire?

It is not always easy to differentiate leading from managing, as many management style roles are within leadership positions, but let’s break it down to the basics and try to understand more. If you were asked to break down the meaning of each, how would you differentiate the two?

Many corporate leaders describe any manager as a leader of his/her team; they believe that managing a process well is indication of leadership or perhaps attaining a goal that was set. Another form of measurement they use is your ability to deal with situations based on your past experience which are indicators to your skill sets as a leader. All are true to a degree as I believe they are more indicators of your abilities as a leader, rather than what makes you a leader?

The real difference between managing or leading in life can be broken down into one word: Ownership

Ownership is your ability to own a process from beginning to end, and see that the result is favorable as you accept nothing less than what you want the outcome to be. This ownership level will require your skills based on your past experiences, will require you to have goals and also create and deliver a streamlined process. The ownership level will also require you to sometimes guide, educate and help others within your team to help reach your goals.

Data records that have nothing to do with the page:
No. 1
Computed, not measured: a relaxed CsSc2ZnIr crystal at the PBE level of DFT.

Properties
Spin magnetization, μB/f.u.: 0.000
ΔE_f, meV per atom: -19

```
5
Lattice="5.1401 0.0000 0.0000 0.0000 5.1401 0.0000 0.0000 0.0000 5.2100" Properties=species:S:1:pos:R:3 pbc="T T T"
Cs 0.0000 0.0000 0.0000
Sc 0.0000 2.5701 2.6050
Sc 2.5701 0.0000 2.6050
Zn 2.5701 2.5701 0.0000
Ir 2.5701 2.5701 2.6050
```

***

No. 2
Computed, not measured: a relaxed SmEr2Sc crystal at the PBE level of DFT.

Properties
Spin magnetization, μB/f.u.: 0.000
ΔE_f, meV per atom: 40
Offset from the most stable computed form, meV per atom: 13

```
4
Lattice="1.7552 1.0134 11.1773 -1.7552 1.0134 11.1773 0.0000 -2.0268 11.1773" Properties=species:S:1:pos:R:3 pbc="T T T"
Sm 0.0000 0.0000 0.0000
Er 0.0000 0.0000 8.2752
Er 0.0000 0.0000 14.1151
Sc 0.0000 0.0000 27.9755
```

***

Number 1: total energy -23.746 eV/cell. Number 2: total energy -20.015 eV/cell.

~~~~~

A geometry-optimized NdAl2SiPd structure. Source: Alexandria, functional PBE-GGA. Values from VASP.

Output
Symmetry: Imm2
E, eV/cell: -26.6
Uncorrected formation energy, meV per atom: -745.4

Geometry as Quantum ESPRESSO input:
```
&SYSTEM
  ibrav = 0, nat = 5, ntyp = 4
/
ATOMIC_SPECIES
Nd 144.24 Nd.upf
Al 26.98 Al.upf
Si 28.09 Si.upf
Pd 106.42 Pd.upf
CELL_PARAMETERS angstrom
-2.027 2.098 5.500
2.027 -2.098 5.500
2.027 2.098 -5.500
ATOMIC_POSITIONS angstrom
Nd 0.000 0.000 0.000
Al 0.000 0.000 4.212
Al 0.000 2.098 2.694
Si 0.000 0.000 6.686
Pd 2.027 0.000 2.652
```

~~~~~

(1)
Computed, not measured: a relaxed BiSb2Ir crystal at the PBE-GGA level of DFT.

Properties
Calculated density, g/cm3: 11.5
Magnetic moment, μB/f.u.: 0.001
Uncorrected energy, hartree per atom: -0.1761

Cell lengths 7.2039, 7.2039, 7.2039 Å; angles 90.00, 90.00, 90.00 degrees
Space group F-43m (No. 216)
Unique sites:
Bi 0.0000 0.0000 0.0000 x4
Sb 0.0000 0.0000 0.5000 x4
Sb 0.2500 0.2500 0.7500 x4
Ir 0.2500 0.2500 0.2500 x4

=====

(2)
Computed, not measured: a relaxed LiScBAu crystal at the PBE-GGA level of DFT.

Properties
Calculated density, g/cm3: 7.3
Energy above the most stable polymorph in this dataset, eV/atom: 0.1665
Magnetic moment, μB/f.u.: 0.000
Uncorrected energy, hartree per atom: -0.1680

Cell lengths 6.1949, 6.1949, 6.1949 Å; angles 90.00, 90.00, 90.00 degrees
Space group F-43m (No. 216)
Unique sites:
Li 0.0000 0.0000 0.0000 x4
Sc 0.0000 0.0000 0.5000 x4
B 0.2500 0.2500 0.2500 x4
Au 0.2500 0.2500 0.7500 x4

=====

(3)
Computed, not measured: a relaxed FeCu2Pd crystal at the PBE-GGA level of DFT.

Properties
Calculated density, g/cm3: 9.3
DFT formation energy, eV per atom: 0.059
Magnetic moment, μB/f.u.: 3.142
Uncorrected energy, hartree per atom: -0.1900

Cell lengths 5.9225, 5.9225, 5.9225 Å; angles 90.00, 90.00, 90.00 degrees
Space group F-43m (No. 216)
Unique sites:
Fe 0.0000 0.0000 0.0000 x4
Cu 0.0000 0.0000 0.5000 x4
Cu 0.2500 0.2500 0.7500 x4
Pd 0.2500 0.2500 0.2500 x4

=====

(4)

Now switch the word “ownership“with “leadership” and you have your definition.

So why are some people poor leaders and others simply talented?

The leadership role requires you to care and to own it in order to master it. Owning it is simple but requires desire, the desire and drive to succeed. When you won something you see it through to the end, no matter the obstacles you run into, the opposition people create and your personal lack of motivation. You also are accomplished based on your desire to finish and not a monetary reward of some sort. It’s your drive to show yourself the outcome you want, and not the one you believe to be OK.

People are poor leader due to their inability of controlling their fears, as leaders they are afraid to lose it all and therefore always move cautiously ahead. Instead of worrying about the task at hand and what it takes to finish it, they look for their best alternative at getting them the most rewards from it. The ownership piece gets missing and instead this glow of fear appears as their insecurities begin once the pressure is on. Under fear, they are unable to make correct decisions but rather harsh ones that are not always aligned to their goals. This combined with their lack of care for the outcome but rather the compliance makes them managers but far from leaders. It becomes even worst when you as an employee are forced to work for such people and yet have the common sense you need to see the poor decisions they make.

In conclusion, it is very easy to mix up the two or say that the differences are minimal, but the reality remains that the real piece missing from the equation is ownership, which defines leaders every day. Experienced or not, anyone can choose to take on and own a process or goal, and drive it to succeed. Not all will have the outcome they seek but the journey and their fearless views of the situation will enable them to become better leaders and always find purpose in their work unlike others who will mange their life to failure because of fear.

Make sure to check out “The Ultimate Leadership Guide” if you are serious about taking the next step in leadership